Guide for Deacons: The Liturgical Ministry Series - OWELDEA


Item Number: OWELDEA

Deacons proclaim the Gospel of Jesus Christ in three primary ways. They assist during the liturgy. They serve the needy in the community. They preach.

Records of molecules that have nothing to do with the article.
-- begin --
Below is a 2-piece molecular cluster, C4H8NOPS overall at a distorted geometry, with properties calculated with the ωB97M-V functional and the def2-TZVPD basis.

As for the energy relative to the best compared isomer or geometry (same formula, charge and spin): 2.119 eV. As for the spin multiplicity: 1. The value obtained for the lowest unoccupied orbital energy is -0.08840 Eh. For the HOMO energy, the calculation gives -0.3660 Eh.

Atoms and positions in Å:
C -0.827 -2.845 0.450
C -1.908 0.624 0.933
C 1.685 -1.105 -1.609
C -0.445 1.201 0.804
N -1.659 -3.657 0.388
O 0.265 0.546 -0.275
P 1.044 -0.795 0.046
S 2.407 -0.650 1.479
H -2.056 0.075 1.887
H -2.545 1.515 1.066
H -2.365 0.065 0.061
H 0.860 -1.602 -2.322
H 2.229 -0.237 -1.927
H 2.594 -1.743 -1.521
H 0.068 1.013 1.775
H -0.559 2.321 0.583



Below is a 3-piece molecular cluster, C2H11NO2S overall at a distorted geometry, with properties calculated with the ωB97M-V functional and the def2-TZVPD basis.

As for the energy relative to the best compared isomer or geometry (same formula, charge and spin): 0.163 eV. As for the spin multiplicity: 2. The expectation value of S² is 0.75. The value obtained for the lowest unoccupied orbital energy (spin up / spin down) is 0.11356 / 0.11482 Eh. For the HOMO energy (spin up / spin down), the calculation gives 0.0388 / -0.2048 Eh. The net charge is -1.

Atoms and positions in Å:
C -1.957 0.023 -1.907
C -0.850 -0.192 -2.940
S 0.786 -0.373 -2.160
N -2.732 1.231 -2.292
H -1.493 0.208 -0.936
H -2.690 -0.779 -1.876
H -0.862 0.636 -3.664
H -1.059 -1.065 -3.535
H 1.496 0.633 -2.747
H -3.626 1.260 -1.823
H -2.213 2.035 -1.974
H 1.146 0.999 5.967
H 1.082 0.172 7.244
O 1.704 0.480 6.574
H 1.999 -0.683 2.352
H 2.609 -0.955 3.684
O 1.741 -0.983 3.246



Below is a 2-piece molecular cluster, C3H11N3 overall at a distorted geometry, with properties calculated with the ωB97M-V functional and the def2-TZVPD basis.

As for the energy relative to the best compared isomer or geometry (same formula, charge and spin): 1.483 eV. As for the spin multiplicity: 1. The value obtained for the lowest unoccupied orbital energy is 0.03779 Eh. As for the SMILES: C=CN.NCN. For the HOMO energy, the calculation gives -0.3077 Eh.

Atoms and positions in Å:
C 1.361 -1.236 0.111
C 2.160 -1.601 -0.897
N 3.509 -1.333 -1.009
H 1.857 -0.608 0.830
H 0.348 -1.534 -0.047
H 1.772 -2.187 -1.724
H 4.044 -1.732 -1.755
H 4.013 -1.263 -0.138
N -2.394 2.543 0.524
C -2.663 1.097 0.381
N -1.584 0.195 0.637
H -1.760 2.854 -0.198
H -1.969 2.708 1.426
H -3.513 0.885 1.027
H -2.979 0.968 -0.648
H -0.927 0.104 -0.112
H -1.275 0.138 1.589



Below is one molecule with the formula C4H7NO, with properties calculated with the ωB97M-V functional and the def2-TZVPD basis.
-- stop --

Many deacons are single men who are preparing for their ordination to the priesthood. Their diaconate serves as an internship for the joys and demands of priesthood. We call them transitional deacons because they serve the Church as deacons during an interim period of their life.

Other deacons commit to this ministry as a lifelong service. We call them permanent deacons. They spend their years of preparation to serve as deacons specifically serve. Some of them are single, yet they have not felt the call to priesthood. Most of them are married. As baptized and confirmed members of the community, they have already accepted the responsibility to bear witness to the faith they profess. As married members of the community, they demonstrate the holiness of wedded love. As ordained members of the community, they possess the special charisms of deacons. Their entire lives bear witness to the interplay between faith and service, between worship and charity. Their lives enrich the Church.

This book will offer deacons guidance to assist their liturgical ministry. You will learn about the history of the diaconate and how the Church understands the role of the deacon. Deacons will find some reflections to help develop your spirituality, whether they are single or married. This book gives practical advice on many aspects of the liturgical service you offer the Church. And it will answer the most frequently asked questions about diaconal ministry. At the end there will be a selection of resources for further reading, as well as a glossary of This book includes:

[What comes next are quantum chemistry results, not part of the entry]
┌──
(1)
└──
[Here the entry continues]

    • A basic theological and historical overview of the ministry
    • Catechesis about liturgy, ritual, and symbols
    • Ways to deepen your prayer life
    • Generous quotations from the documents of the Church and from scripture
    • Detailed and practical instructions regarding the deacons role at Mass, Baptisms, Confirmations, Weddings, Funerals, Liturgy of the Hours, and Sunday Celebrations in the Absence of a Priest
    • Frequently asked questions with answers
    • Questions for discussion and reflection
    • Annotated bibliography
    • Glossary for easy reference
    • Instructive photos, charts, and text boxes
    • Prayers of preparation

    This book has been written with texts from the third edition of The Roman Missal.

    978-1-61671-046-0 | Paperback | 6 x 9 | 96 pages | Language: English